-- begin --
Theoretical X-ray powder pattern of Cs2K5NaHg for Cu Kα, 1.54184 Å, from a PBE-relaxed structure.
Lines closer than 0.1° are merged.

Atomic structure:
```
data_Cs2K5NaHg
_chemical_formula_sum 'Cs4 K10 Na2 Hg2'
_space_group_name_H-M_alt 'I 4 m m'
_space_group_IT_number 107
_space_group_name_Hall 'I 4 -2'
_cell_length_a 9.5171
_cell_length_b 9.5171
_cell_length_c 13.6092
_cell_angle_alpha 90.00
_cell_angle_beta 90.00
_cell_angle_gamma 90.00
loop_
_atom_site_label
_atom_site_type_symbol
_atom_site_fract_x
_atom_site_fract_y
_atom_site_fract_z
Cs1 Cs 0.0000 0.5000 0.0000
K1 K 0.0000 0.0000 0.4743
K2 K 0.2407 0.2407 0.7457
Na1 Na 0.0000 0.0000 0.9755
Hg1 Hg 0.0000 0.0000 0.2059
```

The 10 most intense peaks (10 to 90 degrees two-theta), in order of rising 2θ:
| 2theta | d/Å | intensity | h k l |
| --- | --- | --- | --- |
| 11.3 | 7.799 | 71 | 1 0 1 |
| 18.5 | 4.785 | 100 | 1 1 2 |
| 18.6 | 4.759 | 45 | 2 0 0 |
| 21.9 | 4.062 | 41 | 2 1 1 |
| 22.8 | 3.900 | 49 | 2 0 2 |
| 26.2 | 3.402 | 30 | 0 0 4 |
| 26.5 | 3.365 | 73 | 2 2 0 |
| 32.5 | 2.752 | 50 | 3 1 2 |
| 37.6 | 2.392 | 44 | 2 2 4 |
| 37.8 | 2.379 | 28 | 4 0 0 |

Theoretical X-ray powder pattern of TaP4S6Cl5 for Cu Kα, 1.54184 Å, from a PBE-relaxed structure.
Lines closer than 0.1° are merged.

Atomic structure:
```
data_TaP4S6Cl5
_chemical_formula_sum 'Ta2 P8 S12 Cl10'
_space_group_name_H-M_alt 'P -1'
_space_group_IT_number 2
_space_group_name_Hall '-P 1'
_cell_length_a 7.6948
_cell_length_b 11.9740
_cell_length_c 12.1287
_cell_angle_alpha 104.31
_cell_angle_beta 107.04
_cell_angle_gamma 93.61
loop_
_atom_site_label
_atom_site_type_symbol
_atom_site_fract_x
_atom_site_fract_y
_atom_site_fract_z
Ta1 Ta 0.0116 0.1567 0.2637
P1 P 0.2875 0.5563 0.1706
P2 P 0.4179 0.4964 0.8039
P3 P 0.4216 0.2840 0.5784
P4 P 0.4283 0.2284 0.8511
S1 S 0.2875 0.4296 0.6148
S2 S 0.2954 0.6907 0.0855
S3 S 0.2987 0.3794 0.8775
S4 S 0.3015 0.6420 0.3501
S5 S 0.3599 0.1568 0.6577
S6 S 0.3748 0.2090 0.4049
Cl1 Cl 0.0140 0.3599 0.2985
Cl2 Cl 0.0572 0.9634 0.2518
Cl3 Cl 0.0689 0.8313 0.5633
Cl4 Cl 0.1717 0.1604 0.1268
Cl5 Cl 0.2787 0.8896 0.8719
```

The 10 most intense peaks (10 to 90 degrees two-theta), in order of rising 2θ:
| 2theta | d/Å | intensity | h k l |
| --- | --- | --- | --- |
| 13.4 | 6.598 | 59 | 1 -1 0 |
| 14.2 | 6.226 | 86 | 1 1 -1 |
| 14.7 | 6.029 | 76 | -1 1 1 |
| 15.3 | 5.798 | 100 | 0 2 -1 |
| 15.9 | 5.569 | 48 | 0 0 2 |
| 16.5 | 5.379 | 35 | 1 -1 1 |
| 16.7 | 5.317 | 23 | 1 0 -2 |
| 19.3 | 4.606 | 23 | 0 2 1 |
| 23.0 | 3.865 | 24 | 1 0 2 |
| 30.8 | 2.906 | 26 | 2 1 1 |


No. 1
Theoretical powder XRD pattern
Compound: LiAs2H3Pd8
Radiation: Cu Kα X-rays
Structure: the PBE geometry in Alexandria

Structure:
Cell lengths 7.3963, 7.3963, 7.3963 Å; angles 45.36, 45.36, 45.36 degrees
Positions (direct):
Li 0.0000 0.0000 0.0000
As 0.3304 0.3304 0.3304
As 0.6802 0.6802 0.6802
H 0.3358 0.3358 0.8341
H 0.3358 0.8341 0.3358
H 0.8341 0.3358 0.3358
Pd 0.0637 0.0637 0.5697
Pd 0.0637 0.5697 0.0637
Pd 0.1065 0.6004 0.6004
Pd 0.1189 0.1189 0.1189
Pd 0.5581 0.5581 0.5581
Pd 0.5697 0.0637 0.0637
Pd 0.6004 0.1065 0.6004
Pd 0.6004 0.6004 0.1065

The 10 most intense peaks (5 to 70 degrees two-theta), in order of rising 2θ:
d (Å)  Rel. int.
6.623  22
3.311  23
2.397  92
2.210  100
2.161  11
2.098  35
1.863  31
1.751  14
1.458  16
1.426  30

=====

No. 2
Theoretical powder XRD pattern
Compound: Li2SbAsH
Radiation: Cu Kα X-rays
Structure: the PBE geometry in Alexandria

Structure:
Cell lengths 4.4587, 4.4587, 4.0358 Å; angles 90.00, 90.00, 90.00 degrees
Positions (direct):
Li 0.0000 0.5000 0.0000
Li 0.5000 0.0000 0.0000
Sb 0.0000 0.0000 0.5000
As 0.5000 0.5000 0.5000
H 0.5000 0.5000 0.0000

The 10 most intense peaks (5 to 70 degrees two-theta), in order of rising 2θ:
d (Å)  Rel. int.
4.036  72
3.153  81
2.485  100
2.229  37
2.018  14
1.951  39
1.700  26
1.496  21
1.468  15
1.410  14

=====

No. 3
Theoretical powder XRD pattern
Compound: Sr3LiAs2H
Radiation: Cu Kα X-rays
-- stop --

Now retype the whole of the listing further above word for word.

Theoretical X-ray powder pattern of Cs2K5NaHg for Cu Kα, 1.54184 Å, from a PBE-relaxed structure.
Lines closer than 0.1° are merged.

Atomic structure:
```
data_Cs2K5NaHg
_chemical_formula_sum 'Cs4 K10 Na2 Hg2'
_space_group_name_H-M_alt 'I 4 m m'
_space_group_IT_number 107
_space_group_name_Hall 'I 4 -2'
_cell_length_a 9.5171
_cell_length_b 9.5171
_cell_length_c 13.6092
_cell_angle_alpha 90.00
_cell_angle_beta 90.00
_cell_angle_gamma 90.00
loop_
_atom_site_label
_atom_site_type_symbol
_atom_site_fract_x
_atom_site_fract_y
_atom_site_fract_z
Cs1 Cs 0.0000 0.5000 0.0000
K1 K 0.0000 0.0000 0.4743
K2 K 0.2407 0.2407 0.7457
Na1 Na 0.0000 0.0000 0.9755
Hg1 Hg 0.0000 0.0000 0.2059
```

The 10 most intense peaks (10 to 90 degrees two-theta), in order of rising 2θ:
| 2theta | d/Å | intensity | h k l |
| --- | --- | --- | --- |
| 11.3 | 7.799 | 71 | 1 0 1 |
| 18.5 | 4.785 | 100 | 1 1 2 |
| 18.6 | 4.759 | 45 | 2 0 0 |
| 21.9 | 4.062 | 41 | 2 1 1 |
| 22.8 | 3.900 | 49 | 2 0 2 |
| 26.2 | 3.402 | 30 | 0 0 4 |
| 26.5 | 3.365 | 73 | 2 2 0 |
| 32.5 | 2.752 | 50 | 3 1 2 |
| 37.6 | 2.392 | 44 | 2 2 4 |
| 37.8 | 2.379 | 28 | 4 0 0 |

Theoretical X-ray powder pattern of TaP4S6Cl5 for Cu Kα, 1.54184 Å, from a PBE-relaxed structure.
Lines closer than 0.1° are merged.

Atomic structure:
```
data_TaP4S6Cl5
_chemical_formula_sum 'Ta2 P8 S12 Cl10'
_space_group_name_H-M_alt 'P -1'
_space_group_IT_number 2
_space_group_name_Hall '-P 1'
_cell_length_a 7.6948
_cell_length_b 11.9740
_cell_length_c 12.1287
_cell_angle_alpha 104.31
_cell_angle_beta 107.04
_cell_angle_gamma 93.61
loop_
_atom_site_label
_atom_site_type_symbol
_atom_site_fract_x
_atom_site_fract_y
_atom_site_fract_z
Ta1 Ta 0.0116 0.1567 0.2637
P1 P 0.2875 0.5563 0.1706
P2 P 0.4179 0.4964 0.8039
P3 P 0.4216 0.2840 0.5784
P4 P 0.4283 0.2284 0.8511
S1 S 0.2875 0.4296 0.6148
S2 S 0.2954 0.6907 0.0855
S3 S 0.2987 0.3794 0.8775
S4 S 0.3015 0.6420 0.3501
S5 S 0.3599 0.1568 0.6577
S6 S 0.3748 0.2090 0.4049
Cl1 Cl 0.0140 0.3599 0.2985
Cl2 Cl 0.0572 0.9634 0.2518
Cl3 Cl 0.0689 0.8313 0.5633
Cl4 Cl 0.1717 0.1604 0.1268
Cl5 Cl 0.2787 0.8896 0.8719
```

The 10 most intense peaks (10 to 90 degrees two-theta), in order of rising 2θ:
| 2theta | d/Å | intensity | h k l |
| --- | --- | --- | --- |
| 13.4 | 6.598 | 59 | 1 -1 0 |
| 14.2 | 6.226 | 86 | 1 1 -1 |
| 14.7 | 6.029 | 76 | -1 1 1 |
| 15.3 | 5.798 | 100 | 0 2 -1 |
| 15.9 | 5.569 | 48 | 0 0 2 |
| 16.5 | 5.379 | 35 | 1 -1 1 |
| 16.7 | 5.317 | 23 | 1 0 -2 |
| 19.3 | 4.606 | 23 | 0 2 1 |
| 23.0 | 3.865 | 24 | 1 0 2 |
| 30.8 | 2.906 | 26 | 2 1 1 |


No. 1
Theoretical powder XRD pattern
Compound: LiAs2H3Pd8
Radiation: Cu Kα X-rays
Structure: the PBE geometry in Alexandria

Structure:
Cell lengths 7.3963, 7.3963, 7.3963 Å; angles 45.36, 45.36, 45.36 degrees
Positions (direct):
Li 0.0000 0.0000 0.0000
As 0.3304 0.3304 0.3304
As 0.6802 0.6802 0.6802
H 0.3358 0.3358 0.8341
H 0.3358 0.8341 0.3358
H 0.8341 0.3358 0.3358
Pd 0.0637 0.0637 0.5697
Pd 0.0637 0.5697 0.0637
Pd 0.1065 0.6004 0.6004
Pd 0.1189 0.1189 0.1189
Pd 0.5581 0.5581 0.5581
Pd 0.5697 0.0637 0.0637
Pd 0.6004 0.1065 0.6004
Pd 0.6004 0.6004 0.1065

The 10 most intense peaks (5 to 70 degrees two-theta), in order of rising 2θ:
d (Å)  Rel. int.
6.623  22
3.311  23
2.397  92
2.210  100
2.161  11
2.098  35
1.863  31
1.751  14
1.458  16
1.426  30

=====

No. 2
Theoretical powder XRD pattern
Compound: Li2SbAsH
Radiation: Cu Kα X-rays
Structure: the PBE geometry in Alexandria

Structure:
Cell lengths 4.4587, 4.4587, 4.0358 Å; angles 90.00, 90.00, 90.00 degrees
Positions (direct):
Li 0.0000 0.5000 0.0000
Li 0.5000 0.0000 0.0000
Sb 0.0000 0.0000 0.5000
As 0.5000 0.5000 0.5000
H 0.5000 0.5000 0.0000

The 10 most intense peaks (5 to 70 degrees two-theta), in order of rising 2θ:
d (Å)  Rel. int.
4.036  72
3.153  81
2.485  100
2.229  37
2.018  14
1.951  39
1.700  26
1.496  21
1.468  15
1.410  14

=====

No. 3
Theoretical powder XRD pattern
Compound: Sr3LiAs2H
Radiation: Cu Kα X-rays